Could you echo everything below verbatim?

## Be2ReMo (PBE)

Data for an optimized crystal structure of Be2ReMo.

Summary:
excess energy over the best structure of this formula in the dataset	0.345	eV/atom
ΔE_f	0.104	eV per atom
electronic total energy	-60.63	eV/cell
magnetization	0.00	μB/f.u.

Cell: 5.2432 7.3511 2.6102 Å, 90.00 103.29 90.00°
Last column: nearest neighbours and their distance in Å.
Space group C2/m (No. 12)
One atom of each set of equivalent atoms:
Be (0.2500, 0.2500, 0.0000) (multiplicity 4)  2 Mo 2.45, 2 Re 2.45, 4 Be 2.61-2.62
Re (0.0000, 0.0000, 0.5000) (multiplicity 2)  4 Be 2.45, 2 Re 2.61, 2 Mo 2.62
Mo (0.0000, 0.5000, 0.5000) (multiplicity 2)  4 Be 2.45, 2 Mo 2.61, 2 Re 2.62

## Be2ReMo (PBE)

Data for an optimized crystal structure of Be2ReMo.

Summary:
excess energy over the best structure of this formula in the dataset	0.345	eV/atom
ΔE_f	0.104	eV per atom
electronic total energy	-60.63	eV/cell
magnetization	0.00	μB/f.u.

Cell: 5.2432 7.3511 2.6102 Å, 90.00 103.29 90.00°
Last column: nearest neighbours and their distance in Å.
Space group C2/m (No. 12)
One atom of each set of equivalent atoms:
Be (0.2500, 0.2500, 0.0000) (multiplicity 4)  2 Mo 2.45, 2 Re 2.45, 4 Be 2.61-2.62
Re (0.0000, 0.0000, 0.5000) (multiplicity 2)  4 Be 2.45, 2 Re 2.61, 2 Mo 2.62
Mo (0.0000, 0.5000, 0.5000) (multiplicity 2)  4 Be 2.45, 2 Mo 2.61, 2 Re 2.62